**Given**
An optimized crystal structure of NdHO. Source: Materials Project, functional r2SCAN.

Energy of formation: -2370 meV/atom
Calculated total energy: -15.318 eV per atom
Symmetry: P4/nmm (129)

a = 7.8851 Å, b = 7.8851 Å, c = 5.5734 Å
α = 90.00°, β = 90.00°, γ = 90.00°
Fractional positions:
O (0.2353, 0.0000, 0.2562)
O (0.5000, 0.2647, 0.2562)
O (0.7353, 0.5000, 0.7438)
O (0.5000, 0.7353, 0.2562)
O (0.7647, 0.0000, 0.2562)
O (0.0000, 0.2353, 0.7438)
O (0.0000, 0.7647, 0.7438)
O (0.2647, 0.5000, 0.7438)
Nd (0.2500, 0.2500, 0.5000)
Nd (0.7500, 0.2500, 0.5000)
Nd (0.7500, 0.7500, 0.5000)
Nd (0.0000, 0.0000, 0.0000)
Nd (0.5000, 0.0000, 0.0537)
Nd (0.0000, 0.5000, 0.9463)
Nd (0.5000, 0.5000, 0.0000)
Nd (0.2500, 0.7500, 0.5000)
H (0.2296, 0.5000, 0.2474)
H (0.0000, 0.7296, 0.2474)
H (0.5000, 0.7704, 0.7526)
H (0.5000, 0.2296, 0.7526)
H (0.7704, 0.5000, 0.2474)
H (0.2704, 0.0000, 0.7526)
H (0.7296, 0.0000, 0.7526)
H (0.0000, 0.2704, 0.2474)

* * * * *

(1)
## Sr2La14Mg4Ga12O45 (PBE)

Data for crystalline Sr2La14Mg4Ga12O45 at its relaxed geometry.

Properties
E above lowest polymorph: 16.6 meV/atom
Formation energy from the elements: -3.081 eV per atom
V: 12.849 A^3/atom
DFT total energy: -7.067 eV/atom
Crystal system: triclinic

Unit cell a=5.582 b=5.628 c=44.865 alpha=59.74 beta=59.60 gamma=59.69
Positions (direct):
O: 0.783 0.692 0.527
O: 0.250 0.168 0.666
O: 0.750 0.832 0.709
La: 0.750 0.259 0.530
O: 0.206 0.301 0.223
Ga: 0.000 0.500 0.687
O: 0.219 0.307 0.848
Mg: 0.521 0.986 0.246
La: 0.740 0.282 0.029
O: 0.296 0.691 0.151
Sr: 0.235 0.748 0.223
La: 0.258 0.739 0.969
O: 0.253 0.172 0.415
La: 0.750 0.260 0.780
Mg: 0.527 0.979 0.996
La: 0.737 0.280 0.280
O: 0.782 0.692 0.652
O: 0.718 0.283 0.601
Sr: 0.240 0.746 0.097
Mg: 0.523 0.984 0.121
O: 0.212 0.297 0.097
Ga: 0.505 0.993 0.375
O: 0.219 0.295 0.348
La: 0.750 0.259 0.655
O: 0.782 0.691 0.902
O: 0.715 0.281 0.102
Ga: 0.970 0.536 0.191
Ga: 0.973 0.532 0.065
La: 0.757 0.247 0.405
O: 0.783 0.692 0.777
O: 0.734 0.263 0.351
O: 0.218 0.308 0.723
O: 0.719 0.280 0.476
Mg: 0.973 0.537 0.315
La: 0.257 0.695 0.348
O: 0.290 0.713 0.899
O: 0.284 0.716 0.774
La: 0.250 0.740 0.845
O: 0.752 0.831 0.833
O: 0.250 0.167 0.792
La: 0.252 0.740 0.469
O: 0.776 0.676 0.279
O: 0.712 0.283 0.228
O: 0.750 0.831 0.459
O: 0.750 0.862 0.204
Ga: 0.001 0.501 0.812
Ga: 0.501 0.998 0.875
O: 0.288 0.708 0.277
O: 0.718 0.283 0.726
O: 0.250 0.167 0.542
O: 0.283 0.716 0.524
O: 0.282 0.717 0.649
Ga: 0.500 0.000 0.750
O: 0.218 0.308 0.598
La: 0.755 0.262 0.904
O: 0.750 0.831 0.584
O: 0.696 0.289 0.979
O: 0.734 0.848 0.335
O: 0.756 0.856 0.080
O: 0.762 0.832 0.955
Ga: 0.998 0.498 0.939
O: 0.807 0.662 0.153
O: 0.244 0.175 0.917
O: 0.717 0.283 0.851
Ga: 0.500 0.000 0.500
O: 0.216 0.306 0.473
La: 0.250 0.741 0.595
O: 0.201 0.309 0.976
O: 0.808 0.670 0.027
O: 0.783 0.680 0.403
O: 0.294 0.692 0.024
La: 0.735 0.283 0.154
Ga: 0.999 0.496 0.438
La: 0.251 0.741 0.720
Ga: 0.500 0.000 0.625
O: 0.284 0.706 0.400
Ga: 0.001 0.500 0.562

---

(2)
## Hg2P2H6O7 (PBE)

Data for crystalline Hg2P2H6O7 at its relaxed geometry.

Properties
Formation energy from the elements: -1.304 eV per atom
V: 14.213 A^3/atom
DFT total energy: -4.929 eV/atom
Crystal system: triclinic

Unit cell a=7.478 b=7.845 c=9.274 alpha=80.46 beta=67.81 gamma=74.07
Positions (direct):
H: 0.839 0.701 0.493
O: 0.706 0.733 0.570
O: 0.226 0.216 0.201
Hg: 0.719 0.247 0.892
H: 0.670 0.483 0.429
H: 0.167 0.016 0.767
O: 0.274 0.010 0.996
H: 0.818 0.985 0.318
O: 0.007 0.711 0.952
H: 0.178 0.945 0.406
H: 0.833 0.984 0.233
O: 0.644 0.690 0.093
O: 0.294 0.267 0.430
O: 0.184 0.536 0.262
H: 0.161 0.299 0.507
O: 0.464 0.673 0.836
O: 0.816 0.464 0.738
P: 0.681 0.655 0.745
O: 0.774 0.784 0.799
O: 0.726 0.990 0.004
H: 0.182 0.015 0.682
P: 0.214 0.207 0.027
Hg: 0.209 0.588 0.742
P: 0.786 0.793 0.973
O: 0.356 0.310 0.907
O: 0.993 0.289 0.048
Hg: 0.281 0.753 0.108
O: 0.536 0.327 0.164
H: 0.330 0.517 0.571
H: 0.780 0.137 0.553
H: 0.822 0.055 0.594
P: 0.319 0.345 0.255
H: 0.220 0.863 0.447
**Activity**
Please reproduce the part of the lines earlier on that starts with the line with "0.219 0.307" and stops after the one with "0.247 0.892".
**Completed**
O: 0.219 0.307 0.848
Mg: 0.521 0.986 0.246
La: 0.740 0.282 0.029
O: 0.296 0.691 0.151
Sr: 0.235 0.748 0.223
La: 0.258 0.739 0.969
O: 0.253 0.172 0.415
La: 0.750 0.260 0.780
Mg: 0.527 0.979 0.996
La: 0.737 0.280 0.280
O: 0.782 0.692 0.652
O: 0.718 0.283 0.601
Sr: 0.240 0.746 0.097
Mg: 0.523 0.984 0.121
O: 0.212 0.297 0.097
Ga: 0.505 0.993 0.375
O: 0.219 0.295 0.348
La: 0.750 0.259 0.655
O: 0.782 0.691 0.902
O: 0.715 0.281 0.102
Ga: 0.970 0.536 0.191
Ga: 0.973 0.532 0.065
La: 0.757 0.247 0.405
O: 0.783 0.692 0.777
O: 0.734 0.263 0.351
O: 0.218 0.308 0.723
O: 0.719 0.280 0.476
Mg: 0.973 0.537 0.315
La: 0.257 0.695 0.348
O: 0.290 0.713 0.899
O: 0.284 0.716 0.774
La: 0.250 0.740 0.845
O: 0.752 0.831 0.833
O: 0.250 0.167 0.792
La: 0.252 0.740 0.469
O: 0.776 0.676 0.279
O: 0.712 0.283 0.228
O: 0.750 0.831 0.459
O: 0.750 0.862 0.204
Ga: 0.001 0.501 0.812
Ga: 0.501 0.998 0.875
O: 0.288 0.708 0.277
O: 0.718 0.283 0.726
O: 0.250 0.167 0.542
O: 0.283 0.716 0.524
O: 0.282 0.717 0.649
Ga: 0.500 0.000 0.750
O: 0.218 0.308 0.598
La: 0.755 0.262 0.904
O: 0.750 0.831 0.584
O: 0.696 0.289 0.979
O: 0.734 0.848 0.335
O: 0.756 0.856 0.080
O: 0.762 0.832 0.955
Ga: 0.998 0.498 0.939
O: 0.807 0.662 0.153
O: 0.244 0.175 0.917
O: 0.717 0.283 0.851
Ga: 0.500 0.000 0.500
O: 0.216 0.306 0.473
La: 0.250 0.741 0.595
O: 0.201 0.309 0.976
O: 0.808 0.670 0.027
O: 0.783 0.680 0.403
O: 0.294 0.692 0.024
La: 0.735 0.283 0.154
Ga: 0.999 0.496 0.438
La: 0.251 0.741 0.720
Ga: 0.500 0.000 0.625
O: 0.284 0.706 0.400
Ga: 0.001 0.500 0.562

---

(2)
## Hg2P2H6O7 (PBE)

Data for crystalline Hg2P2H6O7 at its relaxed geometry.

Properties
Formation energy from the elements: -1.304 eV per atom
V: 14.213 A^3/atom
DFT total energy: -4.929 eV/atom
Crystal system: triclinic

Unit cell a=7.478 b=7.845 c=9.274 alpha=80.46 beta=67.81 gamma=74.07
Positions (direct):
H: 0.839 0.701 0.493
O: 0.706 0.733 0.570
O: 0.226 0.216 0.201
Hg: 0.719 0.247 0.892